Request:
Find "64.92" and "0.835 0.662" in the entries further below, and return these two lines and those between.

Excerpt:
=====
No. 1
For Pr2MgTi2S2O5, the PBE geometry in the Materials Project gives the simulated powder X-ray diffraction pattern in this record (Cu Ka).
Lines closer than 0.1° are merged.

Crystal structure
Lattice parameters (Å, degrees): 14.333 14.333 14.333 164.44 164.44 22.08
Positions (direct):
1 Pr 0.137 0.137 0.000
2 Pr 0.863 0.863 0.000
3 Mg 0.750 0.250 0.500
4 Ti 0.435 0.435 0.000
5 Ti 0.565 0.565 0.000
6 S 0.306 0.306 0.000
7 S 0.694 0.694 0.000
8 O 0.088 0.588 0.500
9 O 0.412 0.912 0.500
10 O 0.500 0.500 0.000
11 O 0.589 0.089 0.500
12 O 0.911 0.411 0.500

The 12 most intense peaks (10° ≤ 2θ ≤ 80°), by angle:
2θ (°)  Rel. int.
12.58  100
24.83  64
27.93  22
32.06  94
32.63  40
35.10  27
37.99  14
42.32  30
46.81  31
53.70  15
57.86  33
64.92  16

***

No. 2
For CsNb2S4, the PBE geometry in the Materials Project gives the simulated powder X-ray diffraction pattern in this record (Cu Ka).
Lines closer than 0.1° are merged.

Crystal structure
Lattice parameters (Å, degrees): 5.853 17.531 3.481 90.00 90.00 90.00
Positions (direct):
1 Cs 0.000 0.000 0.000
2 Cs 0.500 0.500 0.500
3 Nb 0.001 0.250 0.000
4 Nb 0.499 0.750 0.500
5 Nb 0.501 0.250 0.500
6 Nb 0.999 0.750 0.000
7 S 0.165 0.338 0.500
8 S 0.166 0.162 0.500
9 S 0.334 0.662 0.000
10 S 0.335 0.838 0.000
11 S 0.665 0.162 0.000
12 S 0.666 0.338 0.000
13 S 0.834 0.838 0.500
14 S 0.835 0.662 0.500

The 12 most intense peaks (10° ≤ 2θ ≤ 80°), by angle:
2θ (°)  Rel. int.
10.09  68
15.96  47
20.26  46
21.49  24
29.87  50
30.55  20
36.36  100
36.93  45
51.71  30
52.15  16
53.88  25
65.99  16

* * * * *

Starting from the PBE+U geometry in Alexandria, the X-ray powder pattern of HfMnSb2O8 was computed for Cu Kα (λ = 1.5418 Å).
Neutral-atom scattering factors, no anomalous dispersion.

Crystal structure
Lattice parameters (Å, degrees): 6.729 6.975 6.351 90.00 90.00 90.00
Space group Cmmm (No. 65)
Inequivalent atoms, fractional coordinates:
Hf 0.000 0.000 0.000 [2 per cell]
Mn 0.000 0.000 0.500 [2 per cell]
Sb 0.000 0.500 0.253 [4 per cell]
O 0.000 0.310 0.000 [4 per cell]
O 0.000 0.314 0.500 [4 per cell]
O 0.207 0.000 0.238 [8 per cell]

The 10 most intense peaks (10° ≤ 2θ ≤ 80°), most intense first:
- hkl 1 1 2, 33.75°, I = 100
- hkl 0 2 0, 25.54°, I = 68
- hkl 2 0 0, 26.49°, I = 60
- hkl 1 3 2, 50.50°, I = 46
- hkl 3 1 2, 51.58°, I = 39
- hkl 2 2 0, 37.13°, I = 29
- hkl 3 3 2, 64.79°, I = 25
- hkl 1 1 1, 23.10°, I = 22
- hkl 0 0 1, 13.94°, I = 15
- hkl 4 0 0, 54.55°, I = 12
=====

Result:
64.92  16

***

No. 2
For CsNb2S4, the PBE geometry in the Materials Project gives the simulated powder X-ray diffraction pattern in this record (Cu Ka).
Lines closer than 0.1° are merged.

Crystal structure
Lattice parameters (Å, degrees): 5.853 17.531 3.481 90.00 90.00 90.00
Positions (direct):
1 Cs 0.000 0.000 0.000
2 Cs 0.500 0.500 0.500
3 Nb 0.001 0.250 0.000
4 Nb 0.499 0.750 0.500
5 Nb 0.501 0.250 0.500
6 Nb 0.999 0.750 0.000
7 S 0.165 0.338 0.500
8 S 0.166 0.162 0.500
9 S 0.334 0.662 0.000
10 S 0.335 0.838 0.000
11 S 0.665 0.162 0.000
12 S 0.666 0.338 0.000
13 S 0.834 0.838 0.500
14 S 0.835 0.662 0.500